20 April 2018
Hints of a “Santa Claus” budget from Federal Treasurer Scott Morrison will have education authorities from across all sectors hopeful that fresh funds will be allocated to the nation’s schools to tackle the shortcomings in the current arrangements announced by Prime Minister Malcolm Turnbull and Education Minister Simon Birmingham less than 12 months ago.
[Misplaced crystal structures]
(1)
Compound: Ga2GeMo2
Source: Alexandria
Functional: PBE-GGA
Structure: optimized geometry

```
data_Ga2GeMo2
_chemical_formula_sum 'Ga4 Ge2 Mo4'
_symmetry_space_group_name_H-M 'P 1'
_symmetry_Int_Tables_number 1
_cell_length_a 6.6678
_cell_length_b 6.6678
_cell_length_c 3.7047
_cell_angle_alpha 90.00
_cell_angle_beta 90.00
_cell_angle_gamma 90.00
loop_
_symmetry_equiv_pos_as_xyz
'x,y,z'
loop_
_atom_site_label
_atom_site_fract_x
_atom_site_fract_y
_atom_site_fract_z
Mo1 0.6560 0.1560 0.0000
Mo2 0.3440 0.8440 0.0000
Ga1 0.1442 0.6442 0.5000
Mo3 0.1560 0.3440 0.0000
Mo4 0.8440 0.6560 0.0000
Ga2 0.8558 0.3558 0.5000
Ga3 0.6442 0.8558 0.5000
Ga4 0.3558 0.1442 0.5000
Ge1 0.0000 0.0000 0.0000
Ge2 0.5000 0.5000 0.0000
```

Output
The calculation puts the theoretical density at 8.15 g cm⁻³.

=====

(2)
Compound: Ga2GeMo2
Source: Alexandria
Functional: PBE-GGA
Structure: optimized geometry

```
data_Ga2GeMo2
_chemical_formula_sum 'Ga4 Ge2 Mo4'
_symmetry_space_group_name_H-M 'P 1'
_symmetry_Int_Tables_number 1
_cell_length_a 6.6807
_cell_length_b 6.6807
_cell_length_c 3.5323
_cell_angle_alpha 90.00
_cell_angle_beta 90.00
_cell_angle_gamma 90.00
loop_
_symmetry_equiv_pos_as_xyz
'x,y,z'
loop_
_atom_site_label
_atom_site_fract_x
_atom_site_fract_y
_atom_site_fract_z
Mo1 0.1737 0.6737 0.5000
Ge1 0.0000 0.0000 0.0000
Ga1 0.3709 0.8709 0.0000
Ge2 0.5000 0.5000 0.0000
Ga2 0.8709 0.6291 0.0000
Ga3 0.6291 0.1291 0.0000
Mo2 0.3263 0.1737 0.5000
Ga4 0.1291 0.3709 0.0000
Mo3 0.8263 0.3263 0.5000
Mo4 0.6737 0.8263 0.5000
```

Output
The calculation puts the theoretical density at 8.51 g cm⁻³.

=====

Energies in meV per atom, measured from the most stable structure: (1) 0; (2) 250.

=====

(1)
Compound: GaGeMo
Source: Alexandria
Functional: PBE-GGA
Structure: optimized geometry

```
data_GaGeMo
_chemical_formula_sum 'Ga2 Ge2 Mo2'
_symmetry_space_group_name_H-M 'P 1'
_symmetry_Int_Tables_number 1
_cell_length_a 4.6568
_cell_length_b 5.0528
_cell_length_c 4.8928
_cell_angle_alpha 94.61
_cell_angle_beta 90.00
_cell_angle_gamma 117.44
loop_
_symmetry_equiv_pos_as_xyz
'x,y,z'
loop_
_atom_site_label
_atom_site_fract_x
_atom_site_fract_y
_atom_site_fract_z
Ga1 0.0485 0.0970 0.8786
Mo1 0.4332 0.8664 0.6530
Ge1 0.9058 0.8115 0.3822
Mo2 0.7325 0.4651 0.8239
Ge2 0.3129 0.6257 0.1089
Ga2 0.6152 0.2304 0.2825
```

Output
The calculation puts the theoretical density at 7.78 g cm⁻³.

=====

(2)
Compound: GaGeMo
Source: Alexandria
Functional: PBE-GGA
Structure: optimized geometry

```
data_GaGeMo
_chemical_formula_sum 'Ga1 Ge1 Mo1'
_symmetry_space_group_name_H-M 'P 1'
_symmetry_Int_Tables_number 1
_cell_length_a 2.7936
_cell_length_b 4.4945
_cell_length_c 4.4945
_cell_angle_alpha 120.00
_cell_angle_beta 90.00
_cell_angle_gamma 90.00
loop_
_symmetry_equiv_pos_as_xyz
'x,y,z'
loop_
_atom_site_label
_atom_site_fract_x
_atom_site_fract_y
_atom_site_fract_z
Ga1 0.6843 0.6667 0.3333
Mo1 0.1853 0.3333 0.6667
Ge1 0.1304 0.0000 0.0000
```

Output
Acting executive director of the National Catholic Education Commission (NCEC), Ray Collins, said members of Australia’s more than 1700 Catholic school communities will be “closely watching next month’s budget to see whether the Turnbull government is serious about tackling their concerns over allocation of funds, and fair and accurate measures of parental ‘capacity to contribute’ in the Gonski 2.0 funding model”.
“The Government’s so-called new era of fair funding model has meant that over 500 Catholic schools lose funding in 2018, compared to their actual 2017 Commonwealth allocation, and Catholic systems will lose $250 million over the two years 2018 and 2019 compared to the funding they would have been allocated under Labor’s Gonski 1.0 funding arrangements,” Mr Collins said.
“At the same time, the NCEC has learned that over-funded Independent schools will transition down to their new levels over 10 years, while equivalent schools in Catholic systems have had their funding reduced immediately in 2018, leaving them short-changed by over $1 billion over the next decade.
“Across Australia, hundreds of thousands of families have students in a Catholic school. We are the biggest school system after the government sector by far, and we certainly expect the Commonwealth government to address these inequities,” he said.
Mr Collins said Catholic school communities expect action in the Budget on four key priorities.
“We expect the forward estimates to show the government is serious when it talks about needs-based funding and is prepared to act on recommendations of the final report of the National School Resourcing Board and replace the fatally-flawed school socio-economic status, or SES, score system.
(Crystal structures, as found in the file)
********
Record 1
Entry from Alexandria via LeMat-Bulk: an optimized crystal structure of PuSbS2O (GGA-PBE).

The raw formation energy comes out at -139.5 kJ/mol of atoms. The calculation puts the total moment at 9.9 Bohr magnetons per cell. For the total energy, the calculation gives -0.286 Ha/atom. Its density is 7.13 g cm⁻³.

It has space group P4/nmm (No. 129, origin choice 2), with a = 3.912 Å, b = 3.912 Å, c = 13.564 Å, α = 90.00°, β = 90.00° and γ = 90.00°. The inequivalent atoms are Pu at (0.250, 0.250, 0.091), Sb at (0.250, 0.250, 0.630), S at (0.250, 0.250, 0.381), S at (0.250, 0.250, 0.812) and O at (0.250, 0.750, 0.000).

Record 2
Entry from Alexandria via LeMat-Bulk: an optimized crystal structure of SmPuSO2 (GGA-PBE).

The raw formation energy comes out at -263.9 kJ/mol of atoms. The calculation puts the total moment at 10.0 Bohr magnetons per cell. For the total energy, the calculation gives -0.344 Ha/atom. Its density is 8.53 g cm⁻³.

It has space group I4mm (No. 107), with a = 3.827 Å, b = 3.827 Å, c = 12.180 Å, α = 90.00°, β = 90.00° and γ = 90.00°. The inequivalent atoms are Sm at (0.000, 0.000, 0.000), Pu at (0.000, 0.000, 0.706), S at (0.000, 0.000, 0.353) and O at (0.000, 0.500, 0.103).

Record 3
Entry from Alexandria via LeMat-Bulk: an optimized crystal structure of SmPuS2O (GGA-PBE).

The raw formation energy comes out at -222.6 kJ/mol of atoms. The calculation puts the total moment at 9.5 Bohr magnetons per cell. For the total energy, the calculation gives -0.322 Ha/atom. Its density is 7.41 g cm⁻³.

It has space group P4/nmm (No. 129, origin choice 2), with a = 3.903 Å, b = 3.903 Å, c = 13.970 Å, α = 90.00°, β = 90.00° and γ = 90.00°. The inequivalent atoms are Sm at (0.250, 0.250, 0.123), Pu at (0.250, 0.250, 0.588), S at (0.250, 0.250, 0.313), S at (0.250, 0.250, 0.907) and O at (0.250, 0.750, 0.500).

Record 4
Entry from Alexandria via LeMat-Bulk: an optimized crystal structure of SrPuSO2 (GGA-PBE).

The raw formation energy comes out at -252.7 kJ/mol of atoms. The calculation puts the total moment at 4.0 Bohr magnetons per cell. For the total energy, the calculation gives -0.317 Ha/atom. Its density is 6.40 g cm⁻³.

It has space group P4mm (No. 99), with a = 4.248 Å, b = 4.248 Å, c = 5.687 Å, α = 90.00°, β = 90.00° and γ = 90.00°. The inequivalent atoms are Sr at (0.000, 0.000, 0.000), Pu at (0.500, 0.500, 0.362), S at (0.500, 0.500, 0.848) and O at (0.000, 0.500, 0.292).

~~~~~

[1]
A plane-wave DFT calculation with PBE was carried out for an optimized crystal structure of RbLi2AgIr.

Calculated values
E in eV/atom: -1.8116
Formation energy from the elements in eV/atom: 1.490
Symmetry: No. 123

Lattice parameters (Å, degrees): 4.5284 5.2678 4.5284 90.00 90.00 90.00
With the nearest neighbours (Å) after each atom.
Sites, in units of the cell vectors:
Ir1 0.5000 0.5000 0.5000  4 Ag 3.20, 8 Li 3.47
Rb1 0.0000 0.0000 0.0000  4 Li 2.26
Ag1 0.0000 0.5000 0.0000  2 Rb 2.63
Li1 0.0000 0.0000 0.5000  2 Rb 2.26
********
(End of the crystal structures)
“We expect to find clear indications that the government is looking at fair and accurate measures of parental capacity to contribute that give us a genuine measure of non-government school needs. “We expect to see signs in the forward estimates that a disparity in transition arrangements, which leaves Catholic systemic schools over $1 billion behind, will be addressed so that all non-government schools considered overfunded in 2017 will have 10 years to adapt to the new changes.
**Unrelated to this page: data records**
VASP calculation (PBE with a Hubbard U) on crystalline HfMoC2F at its relaxed geometry.

Lattice parameters (Å, degrees): 4.311 4.311 4.019 90.00 90.00 90.00
Positions (direct):
Hf1 0.000 0.000 0.000
Mo1 0.500 0.500 0.500
C1 0.000 0.500 0.000
C2 0.500 0.000 0.000
F1 0.000 0.000 0.500

Calculated total energy ... -34.870 eV/cell
Spin magnetization ... 3.28 μB per cell
Space-group type ... P4/mmm, No. 123
D(E_F) ... 2.2 states/eV per cell

=====

#w
A plane-wave DFT calculation with GGA-PBE was carried out for a geometry-optimized HfMg14W structure. Values from VASP.

Structure (Quantum ESPRESSO input):
```
&SYSTEM
  ibrav = 0, nat = 16, ntyp = 3
/
ATOMIC_SPECIES
W 183.84 W.upf
Mg 24.30 Mg.upf
Hf 178.49 Hf.upf
CELL_PARAMETERS angstrom
0.958 4.956 3.785
-2.432 -5.332 2.338
9.192 -3.311 2.008
ATOMIC_POSITIONS crystal
W 0.000 0.000 0.000
Mg 0.496 0.991 0.500
Mg 0.009 0.504 0.500
Mg 0.667 0.333 0.740
Mg 0.159 0.319 0.241
Mg 0.997 0.499 0.000
Mg 0.667 0.333 0.260
Mg 0.496 0.504 0.500
Mg 0.159 0.841 0.241
Mg 0.501 0.003 0.000
Mg 0.159 0.841 0.759
Mg 0.159 0.319 0.759
Mg 0.501 0.499 0.000
Mg 0.681 0.841 0.759
Mg 0.681 0.841 0.241
Hf 0.000 0.000 0.500
```

#x
A plane-wave DFT calculation with GGA-PBE was carried out for a geometry-optimized HfMg14W structure. Values from VASP.

Structure (Quantum ESPRESSO input):
```
&SYSTEM
  ibrav = 0, nat = 16, ntyp = 3
/
ATOMIC_SPECIES
Mg 24.30 Mg.upf
Hf 178.49 Hf.upf
W 183.84 W.upf
CELL_PARAMETERS angstrom
3.028 -5.581 0.000
3.028 5.581 0.000
0.000 0.000 10.191
ATOMIC_POSITIONS crystal
Mg 0.162 0.329 0.259
Mg 0.334 0.666 0.000
Mg 0.173 0.827 0.246
Mg 0.678 0.322 0.265
Mg 0.173 0.827 0.754
Mg 0.830 0.170 0.000
Mg 0.671 0.838 0.741
Mg 0.162 0.329 0.741
Mg 0.831 0.678 0.500
Mg 0.332 0.171 0.000
Mg 0.829 0.668 0.000
Mg 0.671 0.838 0.259
Mg 0.322 0.169 0.500
Mg 0.678 0.322 0.735
Hf 0.325 0.675 0.500
W 0.829 0.171 0.500
```

The winner here is #x, beating the second structure by 54 meV/atom.
“And finally, we hope the forward estimates will address the recommendations from the Halsey Report of the Independent Review into Regional, Rural and Remote Education which argues for urgent funding support from federal and state governments if the significant needs of students in these areas are to be seriously addressed.”